Brief:
Your job: transcribe the part of the listing underneath that starts with the line with "29.60°, rel." and stops after the one with "(0.3414, 0.0000,".
File:
1.
Simulated X-ray powder pattern
Compound: Os3N4
Radiation: copper Kα
Structure: the GGA-PBE geometry in OQMD

Most intense lines, 2θ = 5–70°, in order of rising 2θ:
- 21.17°, rel. 42
- 30.11°, rel. 35
- 37.10°, rel. 100
- 43.11°, rel. 72
- 48.50°, rel. 19
- 53.48°, rel. 14
- 62.60°, rel. 47
- 66.88°, rel. 9

Crystal structure
Unit cell a=4.1969 b=4.1969 c=4.1969 alpha=90.00 beta=90.00 gamma=90.00
Sites, in units of the cell vectors:
Os (0.0000, 0.0000, 0.5000)
Os (0.0000, 0.5000, 0.0000)
Os (0.5000, 0.0000, 0.0000)
N (0.0000, 0.0000, 0.0000)
N (0.0000, 0.5000, 0.5000)
N (0.5000, 0.0000, 0.5000)
N (0.5000, 0.5000, 0.0000)

=====

2.
Simulated X-ray powder pattern
Compound: Si4OsN4
Radiation: copper Kα
Structure: the GGA-PBE geometry in OQMD

Most intense lines, 2θ = 5–70°, in order of rising 2θ:
- 18.00°, rel. 88
- 19.35°, rel. 100
- 23.99°, rel. 44
- 24.12°, rel. 45
- 25.35°, rel. 59
- 26.22°, rel. 62
- 27.27°, rel. 49
- 35.52°, rel. 78
- 35.66°, rel. 76
- 35.86°, rel. 75

Crystal structure
Unit cell a=4.2405 b=4.8802 c=5.3201 alpha=85.48 beta=68.11 gamma=70.25
Sites, in units of the cell vectors:
Si (0.0000, 0.0000, 0.0000)
Si (0.1858, 0.2244, 0.4211)
Si (0.3908, 0.4237, 0.8063)
Si (0.5854, 0.6281, 0.2232)
Os (0.7619, 0.6674, 0.5648)
N (0.1592, 0.9201, 0.2687)
N (0.3148, 0.1073, 0.7189)
N (0.5609, 0.2873, 0.1143)
N (0.9345, 0.6880, 0.9227)

=====

3.
Simulated X-ray powder pattern
Compound: Pr2P3N7
Radiation: copper Kα
Structure: the GGA-PBE geometry in OQMD

Most intense lines, 2θ = 5–70°, in order of rising 2θ:
- 17.30°, rel. 18
- 24.47°, rel. 21
- 24.58°, rel. 22
- 27.74°, rel. 19
- 29.60°, rel. 34
- 30.17°, rel. 100
- 32.88°, rel. 37
- 33.20°, rel. 19
- 41.05°, rel. 15
- 57.24°, rel. 18

Crystal structure
Unit cell a=6.4431 b=6.4431 c=7.7745 alpha=102.70 beta=102.70 gamma=105.41
Sites, in units of the cell vectors:
Pr (0.1840, 0.2686, 0.4790)
Pr (0.2686, 0.1840, 0.9790)
Pr (0.7314, 0.8160, 0.0210)
Pr (0.8160, 0.7314, 0.5210)
P (0.1606, 0.6119, 0.8657)
P (0.2570, 0.7430, 0.2500)
P (0.3881, 0.8394, 0.6343)
P (0.6119, 0.1606, 0.3657)
P (0.7430, 0.2570, 0.7500)
P (0.8394, 0.3881, 0.1343)
N (0.0138, 0.7737, 0.8644)
N (0.0158, 0.3367, 0.7700)
N (0.2263, 0.9862, 0.6356)
N (0.3231, 0.6218, 0.0701)
N (0.3367, 0.0158, 0.2700)
N (0.3495, 0.6505, 0.7500)
N (0.3782, 0.6769, 0.4299)
N (0.6218, 0.3231, 0.5701)
N (0.6505, 0.3495, 0.2500)
N (0.6633, 0.9842, 0.7300)
N (0.6769, 0.3782, 0.9299)
N (0.7737, 0.0138, 0.3644)
N (0.9842, 0.6633, 0.2300)
N (0.9862, 0.2263, 0.1356)

=====

4.
Simulated X-ray powder pattern
Compound: Ta4PSN2
Radiation: copper Kα
Structure: the GGA-PBE geometry in OQMD

Most intense lines, 2θ = 5–70°, in order of rising 2θ:
- 14.39°, rel. 8
- 29.01°, rel. 31
- 33.06°, rel. 29
- 33.87°, rel. 45
- 39.86°, rel. 100
- 44.14°, rel. 8
- 44.55°, rel. 19
- 59.04°, rel. 27
- 63.01°, rel. 23
- 67.11°, rel. 19

Crystal structure
Unit cell a=3.1291 b=3.1291 c=12.3114 alpha=90.00 beta=90.00 gamma=120.00
Sites, in units of the cell vectors:
Ta (0.0000, 0.0000, 0.1416)
Ta (0.0000, 0.0000, 0.8584)
Ta (0.3333, 0.6667, 0.3557)
Ta (0.3333, 0.6667, 0.6443)
P (0.3333, 0.6667, 0.0000)
S (0.0000, 0.0000, 0.5000)
N (0.6667, 0.3333, 0.2500)
N (0.6667, 0.3333, 0.7500)

=====

5.
Simulated X-ray powder pattern
Compound: Zn4P6SeN12
Radiation: copper Kα
Structure: the GGA-PBE geometry in OQMD

Most intense lines, 2θ = 5–70°, in order of rising 2θ:
- 26.49°, rel. 100
- 30.68°, rel. 5
- 34.41°, rel. 10
- 40.97°, rel. 40
- 46.76°, rel. 41
- 49.45°, rel. 12
- 54.54°, rel. 8
- 61.63°, rel. 9
- 63.89°, rel. 10
- 68.28°, rel. 12

Crystal structure
Unit cell a=7.1380 b=7.1380 c=7.1380 alpha=109.47 beta=109.47 gamma=109.47
Sites, in units of the cell vectors:
Zn (0.0000, 0.0000, 0.3414)
Zn (0.0000, 0.3414, 0.0000)
Zn (0.3414, 0.0000, 0.0000)
Zn (0.6586, 0.6586, 0.6586)
P (0.2500, 0.5000, 0.7500)
P (0.2500, 0.7500, 0.5000)
P (0.5000, 0.2500, 0.7500)
P (0.5000, 0.7500, 0.2500)
P (0.7500, 0.2500, 0.5000)
P (0.7500, 0.5000, 0.2500)
Here it is:
- 29.60°, rel. 34
- 30.17°, rel. 100
- 32.88°, rel. 37
- 33.20°, rel. 19
- 41.05°, rel. 15
- 57.24°, rel. 18

Crystal structure
Unit cell a=6.4431 b=6.4431 c=7.7745 alpha=102.70 beta=102.70 gamma=105.41
Sites, in units of the cell vectors:
Pr (0.1840, 0.2686, 0.4790)
Pr (0.2686, 0.1840, 0.9790)
Pr (0.7314, 0.8160, 0.0210)
Pr (0.8160, 0.7314, 0.5210)
P (0.1606, 0.6119, 0.8657)
P (0.2570, 0.7430, 0.2500)
P (0.3881, 0.8394, 0.6343)
P (0.6119, 0.1606, 0.3657)
P (0.7430, 0.2570, 0.7500)
P (0.8394, 0.3881, 0.1343)
N (0.0138, 0.7737, 0.8644)
N (0.0158, 0.3367, 0.7700)
N (0.2263, 0.9862, 0.6356)
N (0.3231, 0.6218, 0.0701)
N (0.3367, 0.0158, 0.2700)
N (0.3495, 0.6505, 0.7500)
N (0.3782, 0.6769, 0.4299)
N (0.6218, 0.3231, 0.5701)
N (0.6505, 0.3495, 0.2500)
N (0.6633, 0.9842, 0.7300)
N (0.6769, 0.3782, 0.9299)
N (0.7737, 0.0138, 0.3644)
N (0.9842, 0.6633, 0.2300)
N (0.9862, 0.2263, 0.1356)

=====

4.
Simulated X-ray powder pattern
Compound: Ta4PSN2
Radiation: copper Kα
Structure: the GGA-PBE geometry in OQMD

Most intense lines, 2θ = 5–70°, in order of rising 2θ:
- 14.39°, rel. 8
- 29.01°, rel. 31
- 33.06°, rel. 29
- 33.87°, rel. 45
- 39.86°, rel. 100
- 44.14°, rel. 8
- 44.55°, rel. 19
- 59.04°, rel. 27
- 63.01°, rel. 23
- 67.11°, rel. 19

Crystal structure
Unit cell a=3.1291 b=3.1291 c=12.3114 alpha=90.00 beta=90.00 gamma=120.00
Sites, in units of the cell vectors:
Ta (0.0000, 0.0000, 0.1416)
Ta (0.0000, 0.0000, 0.8584)
Ta (0.3333, 0.6667, 0.3557)
Ta (0.3333, 0.6667, 0.6443)
P (0.3333, 0.6667, 0.0000)
S (0.0000, 0.0000, 0.5000)
N (0.6667, 0.3333, 0.2500)
N (0.6667, 0.3333, 0.7500)

=====

5.
Simulated X-ray powder pattern
Compound: Zn4P6SeN12
Radiation: copper Kα
Structure: the GGA-PBE geometry in OQMD

Most intense lines, 2θ = 5–70°, in order of rising 2θ:
- 26.49°, rel. 100
- 30.68°, rel. 5
- 34.41°, rel. 10
- 40.97°, rel. 40
- 46.76°, rel. 41
- 49.45°, rel. 12
- 54.54°, rel. 8
- 61.63°, rel. 9
- 63.89°, rel. 10
- 68.28°, rel. 12

Crystal structure
Unit cell a=7.1380 b=7.1380 c=7.1380 alpha=109.47 beta=109.47 gamma=109.47
Sites, in units of the cell vectors:
Zn (0.0000, 0.0000, 0.3414)
Zn (0.0000, 0.3414, 0.0000)
Zn (0.3414, 0.0000, 0.0000)